Now give back every line underneath that contains the word "P5".

-- begin --
1.
Here is a relaxed structure of NdCu5 from Materials Project. Energies are from r2SCAN.

Values from the calculation:
Calculated formation energy: -162 meV/atom
Total moment: 0.0 μB/f.u.
Total energy: -84.623 eV/cell

Unit cell a=5.0672 b=5.0672 c=4.0684 alpha=90.00 beta=90.00 gamma=120.00
Space group P6/mmm (No. 191)
Asymmetric unit:
Nd 0.0000 0.0000 0.0000 [1 per cell]
Cu 0.0000 0.5000 0.5000 [3 per cell]
Cu 0.3333 0.6667 0.0000 [2 per cell]

2.
Here is a relaxed structure of HoAsPd from Materials Project. Energies are from r2SCAN.

Values from the calculation:
Calculated formation energy: -1309 meV/atom
Total moment: 0.0 μB/f.u.
Total energy: -297.901 eV/cell

Unit cell a=7.0284 b=4.0950 c=7.8937 alpha=90.00 beta=90.00 gamma=90.00
Space group Pnma (No. 62)
Asymmetric unit:
Ho 0.0320 0.2500 0.1925 [4 per cell]
As 0.2461 0.2500 0.8798 [4 per cell]
Pd 0.1427 0.2500 0.5632 [4 per cell]

* * * * *

First-principles (GGA+U) data for a relaxed structure of LiFePO4, as listed in the Materials Project.

```
data_LiFePO4
_cell_length_a 4.736
_cell_length_b 8.088
_cell_length_c 9.761
_cell_angle_alpha 90.00
_cell_angle_beta 119.02
_cell_angle_gamma 90.00
_space_group_name_H-M_alt 'P 1 c 1'
_space_group_IT_number 7
loop_
_space_group_symop_operation_xyz
'x,y,z'
'x,-y,z+1/2'
loop_
_atom_site_label
_atom_site_type_symbol
_atom_site_fract_x
_atom_site_fract_y
_atom_site_fract_z
Li1 Li 0.000 0.139 0.000
Li2 Li 0.492 0.360 0.992
Fe1 Fe 0.753 0.186 0.652
Fe2 Fe 0.942 0.315 0.340
P1 P 0.175 0.492 0.164
P2 P 0.339 0.008 0.828
O1 O 0.020 0.342 0.571
O2 O 0.038 0.009 0.165
O3 O 0.200 0.491 0.827
O4 O 0.285 0.153 0.915
O5 O 0.369 0.158 0.420
O6 O 0.517 0.461 0.183
O7 O 0.643 0.039 0.809
O8 O 0.948 0.346 0.078
```

Values from the calculation:
**Offset from the most stable computed form**: 83.0 meV/atom
**Uncorrected energy**: -6.766 eV/atom
**ΔH_f (0 K)**: -2.397 eV per atom
**Size of the total moment**: 0.00 μB/f.u.

=====

First-principles (GGA+U) data for a relaxed structure of Li3Fe2P3O12, as listed in the Materials Project.

```
data_Li3Fe2P3O12
_cell_length_a 11.602
_cell_length_b 12.759
_cell_length_c 6.417
_cell_angle_alpha 90.00
_cell_angle_beta 114.88
_cell_angle_gamma 90.00
_space_group_name_H-M_alt 'C 1 2/c 1'
_space_group_IT_number 15
loop_
_space_group_symop_operation_xyz
'x,y,z'
'-x,-y,-z'
'-x,y,-z+1/2'
'x,-y,z+1/2'
'x+1/2,y+1/2,z'
'-x+1/2,-y+1/2,-z'
'-x+1/2,y+1/2,-z+1/2'
'x+1/2,-y+1/2,z+1/2'
loop_
_atom_site_label
_atom_site_type_symbol
_atom_site_fract_x
_atom_site_fract_y
_atom_site_fract_z
Li1 Li 0.000 0.000 0.000
Li2 Li 0.000 0.210 0.250
Li3 Li 0.000 0.466 0.250
Fe1 Fe 0.212 0.348 0.127
P1 P 0.000 0.207 0.750
P2 P 0.234 0.398 0.630
O1 O 0.047 0.274 0.972
O2 O 0.104 0.133 0.738
O3 O 0.125 0.082 0.302
O4 O 0.153 0.498 0.092
O5 O 0.167 0.340 0.394
O6 O 0.216 0.329 0.815
```

Values from the calculation:
**Offset from the most stable computed form**: 37.3 meV/atom
**Uncorrected energy**: -6.746 eV/atom
**ΔH_f (0 K)**: -2.470 eV per atom
**Size of the total moment**: 10.00 μB/f.u.

=====

First-principles (GGA+U) data for a relaxed structure of LiFeP3O9, as listed in the Materials Project.

```
data_LiFeP3O9
_cell_length_a 9.469
_cell_length_b 9.525
_cell_length_c 9.768
_cell_angle_alpha 108.70
_cell_angle_beta 104.48
_cell_angle_gamma 110.54
_space_group_name_H-M_alt 'P -1'
_space_group_IT_number 2
loop_
_space_group_symop_operation_xyz
'x,y,z'
'-x,-y,-z'
loop_
_atom_site_label
_atom_site_type_symbol
_atom_site_fract_x
_atom_site_fract_y
_atom_site_fract_z
Li1 Li 0.074 0.308 0.214
Li2 Li 0.233 0.775 0.742
Fe1 Fe 0.332 0.934 0.508
Fe2 Fe 0.376 0.173 0.300
P1 P 0.010 0.396 0.647
P2 P 0.046 0.786 0.156
P3 P 0.193 0.082 0.916
P4 P 0.325 0.432 0.593
P5 P 0.419 0.660 0.290
P6 P 0.481 0.853 0.105
O1 O 0.007 0.368 0.800
O2 O 0.038 0.568 0.678
O3 O 0.049 0.730 0.998
O4 O 0.103 0.171 0.840
O5 O 0.109 0.900 0.803
O6 O 0.143 0.750 0.497
O7 O 0.166 0.372 0.631
O8 O 0.208 0.935 0.296
O9 O 0.219 0.136 0.087
O10 O 0.269 0.522 0.269
-- stop --

P5 P 0.419 0.660 0.290